**To do:**
Your job: give back the whole of the block underneath character by character.

**Excerpt:**
=====
# 1
! DyGaPd2 (r2SCAN, relaxed); values from VASP
&SYSTEM
  ibrav = 0, nat = 16, ntyp = 3
/
ATOMIC_SPECIES
Dy 162.50 Dy.upf
Ga 69.72 Ga.upf
Pd 106.42 Pd.upf
CELL_PARAMETERS angstrom
7.321 0.000 0.000
0.000 7.090 0.000
0.000 0.000 5.579
ATOMIC_POSITIONS crystal
Dy 0.030 0.250 0.145
Dy 0.470 0.750 0.645
Dy 0.530 0.250 0.355
Dy 0.970 0.750 0.855
Ga 0.116 0.750 0.357
Ga 0.384 0.250 0.857
Ga 0.616 0.750 0.143
Ga 0.884 0.250 0.643
Pd 0.183 0.052 0.588
Pd 0.183 0.448 0.588
Pd 0.317 0.552 0.088
Pd 0.317 0.948 0.088
Pd 0.683 0.052 0.912
Pd 0.683 0.448 0.912
Pd 0.817 0.552 0.412
Pd 0.817 0.948 0.412
! * calculated formation energy: -0.94 eV/atom
! * E_tot: -23.27 eV/atom
! * SG: No. 62

# 2
! Sr3Sn4Ir4 (r2SCAN, relaxed); values from VASP
&SYSTEM
  ibrav = 0, nat = 11, ntyp = 3
/
ATOMIC_SPECIES
Sr 87.62 Sr.upf
Sn 118.71 Sn.upf
Ir 192.22 Ir.upf
CELL_PARAMETERS angstrom
-4.063 4.063 4.063
4.063 -4.063 4.063
4.063 4.063 -4.063
ATOMIC_POSITIONS crystal
Sr 0.000 0.500 0.500
Sr 0.500 0.000 0.500
Sr 0.500 0.500 0.000
Sn 0.000 0.000 0.385
Sn 0.000 0.385 0.000
Sn 0.385 0.000 0.000
Sn 0.615 0.615 0.615
Ir 0.000 0.000 0.750
Ir 0.000 0.750 0.000
Ir 0.250 0.250 0.250
Ir 0.750 0.000 0.000
! * calculated formation energy: -0.59 eV/atom
! * E_tot: -32.76 eV/atom
! * SG: No. 217

# 3
! Gd2C3 (r2SCAN, relaxed); values from VASP
&SYSTEM
  ibrav = 0, nat = 20, ntyp = 2
/
ATOMIC_SPECIES
Gd 157.25 Gd.upf
C 12.01 C.upf
CELL_PARAMETERS angstrom
-4.169 4.169 4.169
4.169 -4.169 4.169
4.169 4.169 -4.169
ATOMIC_POSITIONS crystal
Gd 0.000 0.101 0.500
Gd 0.000 0.601 0.500
Gd 0.101 0.500 0.000
Gd 0.399 0.399 0.399
Gd 0.500 0.000 0.101
Gd 0.500 0.000 0.601
Gd 0.601 0.500 0.000
Gd 0.899 0.899 0.899
C 0.045 0.795 0.250
C 0.205 0.955 0.250
C 0.250 0.045 0.795
C 0.250 0.205 0.955
C 0.295 0.545 0.750
C 0.455 0.705 0.750
C 0.545 0.750 0.295
C 0.705 0.750 0.455
C 0.750 0.295 0.545
C 0.750 0.455 0.705
C 0.795 0.250 0.045
C 0.955 0.250 0.205
! * calculated formation energy: -0.33 eV/atom
! * E_tot: -23.65 eV/atom
! * SG: No. 220

# 4
! BaCa (r2SCAN, relaxed); values from VASP
&SYSTEM
  ibrav = 0, nat = 2, ntyp = 2
/
ATOMIC_SPECIES
Ba 137.33 Ba.upf
Ca 40.08 Ca.upf
CELL_PARAMETERS angstrom
3.089 -3.097 0.000
3.089 3.097 0.000
0.000 0.000 5.737
ATOMIC_POSITIONS crystal
Ba 0.000 0.000 0.000
Ca 0.500 0.500 0.500
! * calculated formation energy: 0.08 eV/atom
! * E_tot: -16.69 eV/atom
! * SG: No. 65

# 5
! Ce2Br5 (r2SCAN, relaxed); values from VASP
&SYSTEM
  ibrav = 0, nat = 14, ntyp = 2
/
ATOMIC_SPECIES
Ce 140.12 Ce.upf
Br 79.90 Br.upf
CELL_PARAMETERS angstrom
7.913 0.000 0.000
0.000 4.240 0.000
-0.226 0.000 13.671
ATOMIC_POSITIONS crystal
Ce 0.064 0.250 0.340
Ce 0.430 0.750 0.157
Ce 0.570 0.250 0.843
Ce 0.936 0.750 0.660
Br 0.049 0.750 0.177
Br 0.155 0.250 0.566
Br 0.308 0.250 0.013
Br 0.330 0.750 0.772
Br 0.345 0.750 0.372
Br 0.655 0.250 0.628
Br 0.670 0.250 0.228
Br 0.692 0.750 0.987
Br 0.845 0.750 0.434
Br 0.951 0.250 0.823
! * calculated formation energy: -2.14 eV/atom
! * E_tot: -20.42 eV/atom
! * SG: No. 11

# 6
! ScTl3F6 (r2SCAN, relaxed); values from VASP
&SYSTEM
  ibrav = 0, nat = 20, ntyp = 3
/
ATOMIC_SPECIES
Sc 44.96 Sc.upf
Tl 204.38 Tl.upf
F 19.00 F.upf
CELL_PARAMETERS angstrom
6.343 0.000 0.000
0.000 6.343 0.000
0.000 0.000 9.395
ATOMIC_POSITIONS crystal
Sc 0.000 0.000 0.000
Sc 0.500 0.500 0.500
Tl 0.000 0.000 0.500
Tl 0.000 0.500 0.250
Tl 0.000 0.500 0.750
Tl 0.500 0.000 0.250
Tl 0.500 0.000 0.750
Tl 0.500 0.500 0.000
F 0.000 0.000 0.216
F 0.000 0.000 0.784
F 0.130 0.291 0.000
F 0.209 0.370 0.500
F 0.291 0.870 0.000
F 0.370 0.791 0.500
F 0.500 0.500 0.284
F 0.500 0.500 0.716
F 0.630 0.209 0.500
F 0.709 0.130 0.000
F 0.791 0.630 0.500
F 0.870 0.709 0.000
! * calculated formation energy: -2.83 eV/atom
! * E_tot: -21.80 eV/atom
! * SG: No. 128

----------

Computed, not measured: a relaxed structure of RbLa2C6N6ClO6 at the PBE level of DFT.

Properties
**Electronic total energy**: -0.5880 Ry per atom

a = 6.840 Å, b = 6.840 Å, c = 14.728 Å
=====

**Reply:**
# 1
! DyGaPd2 (r2SCAN, relaxed); values from VASP
&SYSTEM
  ibrav = 0, nat = 16, ntyp = 3
/
ATOMIC_SPECIES
Dy 162.50 Dy.upf
Ga 69.72 Ga.upf
Pd 106.42 Pd.upf
CELL_PARAMETERS angstrom
7.321 0.000 0.000
0.000 7.090 0.000
0.000 0.000 5.579
ATOMIC_POSITIONS crystal
Dy 0.030 0.250 0.145
Dy 0.470 0.750 0.645
Dy 0.530 0.250 0.355
Dy 0.970 0.750 0.855
Ga 0.116 0.750 0.357
Ga 0.384 0.250 0.857
Ga 0.616 0.750 0.143
Ga 0.884 0.250 0.643
Pd 0.183 0.052 0.588
Pd 0.183 0.448 0.588
Pd 0.317 0.552 0.088
Pd 0.317 0.948 0.088
Pd 0.683 0.052 0.912
Pd 0.683 0.448 0.912
Pd 0.817 0.552 0.412
Pd 0.817 0.948 0.412
! * calculated formation energy: -0.94 eV/atom
! * E_tot: -23.27 eV/atom
! * SG: No. 62

# 2
! Sr3Sn4Ir4 (r2SCAN, relaxed); values from VASP
&SYSTEM
  ibrav = 0, nat = 11, ntyp = 3
/
ATOMIC_SPECIES
Sr 87.62 Sr.upf
Sn 118.71 Sn.upf
Ir 192.22 Ir.upf
CELL_PARAMETERS angstrom
-4.063 4.063 4.063
4.063 -4.063 4.063
4.063 4.063 -4.063
ATOMIC_POSITIONS crystal
Sr 0.000 0.500 0.500
Sr 0.500 0.000 0.500
Sr 0.500 0.500 0.000
Sn 0.000 0.000 0.385
Sn 0.000 0.385 0.000
Sn 0.385 0.000 0.000
Sn 0.615 0.615 0.615
Ir 0.000 0.000 0.750
Ir 0.000 0.750 0.000
Ir 0.250 0.250 0.250
Ir 0.750 0.000 0.000
! * calculated formation energy: -0.59 eV/atom
! * E_tot: -32.76 eV/atom
! * SG: No. 217

# 3
! Gd2C3 (r2SCAN, relaxed); values from VASP
&SYSTEM
  ibrav = 0, nat = 20, ntyp = 2
/
ATOMIC_SPECIES
Gd 157.25 Gd.upf
C 12.01 C.upf
CELL_PARAMETERS angstrom
-4.169 4.169 4.169
4.169 -4.169 4.169
4.169 4.169 -4.169
ATOMIC_POSITIONS crystal
Gd 0.000 0.101 0.500
Gd 0.000 0.601 0.500
Gd 0.101 0.500 0.000
Gd 0.399 0.399 0.399
Gd 0.500 0.000 0.101
Gd 0.500 0.000 0.601
Gd 0.601 0.500 0.000
Gd 0.899 0.899 0.899
C 0.045 0.795 0.250
C 0.205 0.955 0.250
C 0.250 0.045 0.795
C 0.250 0.205 0.955
C 0.295 0.545 0.750
C 0.455 0.705 0.750
C 0.545 0.750 0.295
C 0.705 0.750 0.455
C 0.750 0.295 0.545
C 0.750 0.455 0.705
C 0.795 0.250 0.045
C 0.955 0.250 0.205
! * calculated formation energy: -0.33 eV/atom
! * E_tot: -23.65 eV/atom
! * SG: No. 220

# 4
! BaCa (r2SCAN, relaxed); values from VASP
&SYSTEM
  ibrav = 0, nat = 2, ntyp = 2
/
ATOMIC_SPECIES
Ba 137.33 Ba.upf
Ca 40.08 Ca.upf
CELL_PARAMETERS angstrom
3.089 -3.097 0.000
3.089 3.097 0.000
0.000 0.000 5.737
ATOMIC_POSITIONS crystal
Ba 0.000 0.000 0.000
Ca 0.500 0.500 0.500
! * calculated formation energy: 0.08 eV/atom
! * E_tot: -16.69 eV/atom
! * SG: No. 65

# 5
! Ce2Br5 (r2SCAN, relaxed); values from VASP
&SYSTEM
  ibrav = 0, nat = 14, ntyp = 2
/
ATOMIC_SPECIES
Ce 140.12 Ce.upf
Br 79.90 Br.upf
CELL_PARAMETERS angstrom
7.913 0.000 0.000
0.000 4.240 0.000
-0.226 0.000 13.671
ATOMIC_POSITIONS crystal
Ce 0.064 0.250 0.340
Ce 0.430 0.750 0.157
Ce 0.570 0.250 0.843
Ce 0.936 0.750 0.660
Br 0.049 0.750 0.177
Br 0.155 0.250 0.566
Br 0.308 0.250 0.013
Br 0.330 0.750 0.772
Br 0.345 0.750 0.372
Br 0.655 0.250 0.628
Br 0.670 0.250 0.228
Br 0.692 0.750 0.987
Br 0.845 0.750 0.434
Br 0.951 0.250 0.823
! * calculated formation energy: -2.14 eV/atom
! * E_tot: -20.42 eV/atom
! * SG: No. 11

# 6
! ScTl3F6 (r2SCAN, relaxed); values from VASP
&SYSTEM
  ibrav = 0, nat = 20, ntyp = 3
/
ATOMIC_SPECIES
Sc 44.96 Sc.upf
Tl 204.38 Tl.upf
F 19.00 F.upf
CELL_PARAMETERS angstrom
6.343 0.000 0.000
0.000 6.343 0.000
0.000 0.000 9.395
ATOMIC_POSITIONS crystal
Sc 0.000 0.000 0.000
Sc 0.500 0.500 0.500
Tl 0.000 0.000 0.500
Tl 0.000 0.500 0.250
Tl 0.000 0.500 0.750
Tl 0.500 0.000 0.250
Tl 0.500 0.000 0.750
Tl 0.500 0.500 0.000
F 0.000 0.000 0.216
F 0.000 0.000 0.784
F 0.130 0.291 0.000
F 0.209 0.370 0.500
F 0.291 0.870 0.000
F 0.370 0.791 0.500
F 0.500 0.500 0.284
F 0.500 0.500 0.716
F 0.630 0.209 0.500
F 0.709 0.130 0.000
F 0.791 0.630 0.500
F 0.870 0.709 0.000
! * calculated formation energy: -2.83 eV/atom
! * E_tot: -21.80 eV/atom
! * SG: No. 128

----------

Computed, not measured: a relaxed structure of RbLa2C6N6ClO6 at the PBE level of DFT.

Properties
**Electronic total energy**: -0.5880 Ry per atom

a = 6.840 Å, b = 6.840 Å, c = 14.728 Å